_Entries_
+++
# 1
Material: Ba6Mg7F26
Method: DFT, meta-GGA r2SCAN
State: relaxed

Formation enthalpy at 0 K in meV per atom: -3967
Calculated total energy in eV per atom: -10.877

Lattice parameters (Å, degrees): 10.111 10.111 10.111 146.44 106.21 83.54
Element x y z (fractional)
Ba (0.647, 0.147, 0.500)
Ba (0.353, 0.853, 0.500)
Ba (0.389, 0.649, 0.740)
Ba (0.909, 0.649, 0.260)
Ba (0.091, 0.351, 0.740)
Ba (0.611, 0.351, 0.260)
Mg (0.000, 0.253, 0.253)
Mg (0.268, 0.000, 0.268)
Mg (0.000, 0.747, 0.747)
Mg (0.732, 0.000, 0.732)
Mg (0.221, 0.221, 0.000)
Mg (0.779, 0.779, 0.000)
Mg (0.500, 0.500, 0.000)
F (0.129, 0.011, 0.655)
F (0.871, 0.526, 0.882)
F (0.644, 0.989, 0.118)
F (0.356, 0.474, 0.345)
F (0.871, 0.989, 0.345)
F (0.129, 0.474, 0.118)
F (0.356, 0.011, 0.882)
F (0.644, 0.526, 0.655)
F (0.612, 0.749, 0.362)
F (0.388, 0.749, 0.137)
F (0.612, 0.251, 0.863)
F (0.388, 0.251, 0.638)
F (0.837, 0.744, 0.581)
F (0.163, 0.744, 0.907)
F (0.837, 0.256, 0.093)
F (0.163, 0.256, 0.419)
F (0.911, 0.911, 0.000)
F (0.089, 0.089, 0.000)
F (0.630, 0.630, 0.000)
F (0.912, 0.412, 0.500)
F (0.847, 0.127, 0.720)
F (0.153, 0.873, 0.280)
F (0.593, 0.873, 0.720)
F (0.407, 0.127, 0.280)
F (0.088, 0.588, 0.500)
F (0.370, 0.370, 0.000)

=====

# 2
Material: LiYbPd2
Method: DFT, meta-GGA r2SCAN
State: relaxed

Formation enthalpy at 0 K in meV per atom: -756
Calculated total energy in eV per atom: -21.965

Lattice parameters (Å, degrees): 4.595 4.595 4.595 60.00 60.00 60.00
Element x y z (fractional)
Li (0.250, 0.250, 0.250)
Yb (0.750, 0.750, 0.750)
Pd (0.000, 0.000, 0.000)
Pd (0.500, 0.500, 0.500)

=====

# 3
Material: K2Sb4O11
Method: DFT, meta-GGA r2SCAN
State: relaxed

Formation enthalpy at 0 K in meV per atom: -1711
Calculated total energy in eV per atom: -12.333

Lattice parameters (Å, degrees): 10.453 10.453 7.185 85.64 85.64 42.46
Element x y z (fractional)
K (0.759, 0.759, 0.004)
K (0.241, 0.241, 0.996)
K (0.988, 0.988, 0.262)
K (0.012, 0.012, 0.738)
Sb (0.428, 0.428, 0.097)
Sb (0.572, 0.572, 0.903)
Sb (0.425, 0.425, 0.616)
Sb (0.575, 0.575, 0.384)
Sb (0.583, 0.068, 0.435)
Sb (0.932, 0.417, 0.565)
Sb (0.417, 0.932, 0.565)
Sb (0.068, 0.583, 0.435)
O (0.173, 0.567, 0.187)
O (0.433, 0.827, 0.813)
O (0.827, 0.433, 0.813)
O (0.567, 0.173, 0.187)
O (0.024, 0.447, 0.332)
O (0.553, 0.976, 0.668)
O (0.976, 0.553, 0.668)
O (0.447, 0.024, 0.332)
O (0.843, 0.332, 0.432)
O (0.668, 0.157, 0.568)
O (0.157, 0.668, 0.568)
O (0.332, 0.843, 0.432)
O (0.672, 0.328, 0.000)
O (0.328, 0.672, 0.000)
O (0.839, 0.839, 0.353)
O (0.161, 0.161, 0.647)
O (0.618, 0.618, 0.135)
O (0.382, 0.382, 0.865)
O (0.667, 0.667, 0.493)
O (0.333, 0.333, 0.507)
O (0.476, 0.476, 0.345)
O (0.524, 0.524, 0.655)

=====

# 4
Material: NdScGe
Method: DFT, meta-GGA r2SCAN
State: relaxed

Formation enthalpy at 0 K in meV per atom: -831
Calculated total energy in eV per atom: -19.061

Lattice parameters (Å, degrees): 8.565 8.565 8.565 150.80 150.80 41.77
Element x y z (fractional)
Nd (0.677, 0.677, 0.000)
Nd (0.323, 0.323, 0.000)
Sc (0.500, 0.000, 0.500)
Sc (0.000, 0.500, 0.500)
Ge (0.122, 0.122, 0.000)
Ge (0.878, 0.878, 0.000)

=====

# 5
Material: La2PI2
Method: DFT, meta-GGA r2SCAN
State: relaxed

Formation enthalpy at 0 K in meV per atom: -1835
Calculated total energy in eV per atom: -25.357

Lattice parameters (Å, degrees): 4.341 4.341 11.072 90.00 90.00 120.00
Element x y z (fractional)
La (0.333, 0.667, 0.855)
La (0.667, 0.333, 0.145)
P (0.000, 0.000, 0.000)
I (0.667, 0.333, 0.662)
I (0.333, 0.667, 0.338)

=====

# 6
Material: Dy2ZnRu
Method: DFT, meta-GGA r2SCAN
State: relaxed

Formation enthalpy at 0 K in meV per atom: -408
Calculated total energy in eV per atom: -24.983

Lattice parameters (Å, degrees): 4.878 4.878 4.878 60.00 60.00 60.00
Element x y z (fractional)
Dy (0.500, 0.500, 0.500)
Dy (0.000, 0.000, 0.000)
Zn (0.750, 0.750, 0.750)
Ru (0.250, 0.250, 0.250)

=====

# 7
Material: Hg2TeO5
Method: DFT, meta-GGA r2SCAN
State: relaxed

Formation enthalpy at 0 K in meV per atom: -755
+++

_Brief_
Filter the data above: keep the lines with the word "Hg2TeO5".

_Written answer_
Material: Hg2TeO5